Job:
Find the line further down that holds "(0.8039, 0.4665,", then type out that line and all lines after it there.
Input:
=====
1.
The following is a DFT calculation (PBE with a Hubbard U) of LiMnPO4 after structural relaxation.

Cell lengths 5.2371, 9.0715, 9.7090 Å; angles 89.96, 90.01, 90.00 degrees
With the nearest neighbours (Å) after each atom.
Atoms (fractional coordinates):
O (0.1321, 0.8090, 0.2044)  1 P 1.56
O (0.0009, 0.3337, 0.9176)  1 P 1.52
O (0.1471, 0.5293, 0.2043)  1 P 1.56
O (0.6320, 0.3091, 0.2042)  1 P 1.56
O (0.8527, 0.4708, 0.7044)  1 P 1.56
O (0.3527, 0.9708, 0.7043)  1 P 1.56
O (0.2203, 0.1619, 0.2046)  1 P 1.56
O (0.7795, 0.8380, 0.7041)  1 P 1.56
O (0.3675, 0.6910, 0.7048)  1 P 1.56
O (0.5008, 0.8337, 0.9175)  1 P 1.52
O (0.6470, 0.0293, 0.2042)  1 P 1.56
O (0.2795, 0.3379, 0.7042)  1 P 1.56
O (0.8676, 0.1910, 0.7051)  1 P 1.56
O (0.0003, 0.6664, 0.4176)  1 P 1.53
O (0.5004, 0.1665, 0.4175)  1 P 1.53
O (0.7204, 0.6620, 0.2047)  1 P 1.56
Li (0.0000, 0.0000, 0.7348)  3 O 1.89
Li (0.4998, 0.4999, 0.2348)  3 O 1.89
Li (0.5000, 0.5000, 0.7348)  3 O 1.89
Li (0.9997, 0.9999, 0.2348)  3 O 1.89
P (0.5000, 0.8334, 0.7604)  4 O 1.52-1.56
P (0.0001, 0.3334, 0.7605)  4 O 1.52-1.56
P (0.5001, 0.1666, 0.2604)  4 O 1.53-1.56
P (0.0001, 0.6666, 0.2605)  4 O 1.53-1.56
Mn (0.5002, 0.1667, 0.6233)  4 O 2.00-2.09
Mn (0.4997, 0.8333, 0.1232)  4 O 2.00-2.09
Mn (0.9998, 0.3333, 0.1233)  4 O 2.00-2.09
Mn (0.0001, 0.6667, 0.6234)  4 O 2.00-2.09

* polymorph energy (0 for the lowest one): 1.034 kcal/mol of atoms
* calculated formation energy: -2588.9 meV/atom
* V: 16.47 Å³/atom
* magnetic moment: 0.00 μB/f.u.

=====

2.
The following is a DFT calculation (PBE with a Hubbard U) of LiMn2P2O8 after structural relaxation.

Cell lengths 5.1943, 8.6671, 17.0370 Å; angles 80.40, 90.00, 90.00 degrees
With the nearest neighbours (Å) after each atom.
Atoms (fractional coordinates):
Mn (0.6770, 0.3731, 0.6314)  4 O 2.04-2.12
Mn (0.1961, 0.4665, 0.3612)  4 O 1.90-1.98
Mn (0.3169, 0.8812, 0.6150)  4 O 1.90-2.05
Mn (0.8323, 0.9761, 0.3743)  4 O 2.02-2.11
Mn (0.3230, 0.3731, 0.1314)  4 O 2.04-2.12
Mn (0.8039, 0.4665, 0.8612)  4 O 1.90-1.98
Mn (0.6831, 0.8812, 0.1150)  4 O 1.90-2.05
Mn (0.1677, 0.9761, 0.8743)  4 O 2.02-2.11
O (0.3922, 0.2965, 0.4149)  1 P 1.58
O (0.6078, 0.2965, 0.9149)  1 P 1.58
O (0.3797, 0.7735, 0.9197)  1 P 1.55
O (0.7673, 0.0949, 0.1143)  1 P 1.58
O (0.3008, 0.0659, 0.7613)  1 P 1.55
O (0.6913, 0.3361, 0.1717)  1 P 1.53
O (0.2280, 0.6137, 0.1067)  1 P 1.55
O (0.1071, 0.7385, 0.6894)  1 P 1.55
O (0.6573, 0.8442, 0.6756)  1 P 1.55
O (0.8055, 0.6226, 0.9342)  1 P 1.57
O (0.1945, 0.6226, 0.4342)  1 P 1.57
O (0.2295, 0.1255, 0.9516)  1 P 1.53
O (0.8929, 0.7385, 0.1894)  1 P 1.55
O (0.2488, 0.8400, 0.5079)  1 P 1.54
O (0.2100, 0.9034, 0.3587)  1 P 1.56
O (0.7720, 0.6137, 0.6067)  1 P 1.55
O (0.7494, 0.5700, 0.7539)  1 P 1.55
O (0.2733, 0.3789, 0.0102)  1 P 1.54
O (0.7267, 0.3789, 0.5102)  1 P 1.54
O (0.7900, 0.9034, 0.8587)  1 P 1.56
O (0.3087, 0.3361, 0.6717)  1 P 1.53
O (0.1151, 0.1917, 0.2018)  1 P 1.55
O (0.6203, 0.7735, 0.4197)  1 P 1.55
O (0.8849, 0.1917, 0.7018)  1 P 1.55
O (0.7705, 0.1255, 0.4516)  1 P 1.53
O (0.3427, 0.8442, 0.1756)  1 P 1.55
O (0.7512, 0.8400, 0.0079)  1 P 1.54
O (0.6992, 0.0659, 0.2613)  1 P 1.55
O (0.2327, 0.0949, 0.6143)  1 P 1.58
O (0.8334, 0.3935, 0.3655)  1 P 1.56
O (0.2506, 0.5700, 0.2539)  1 P 1.55
O (0.1666, 0.3935, 0.8655)  1 P 1.56
Li (0.6733, 0.0019, 0.7513)  4 O 1.98-2.04
Li (0.3267, 0.0019, 0.2513)  4 O 1.98-2.04
Li (0.1651, 0.6103, 0.9910)  4 O 2.00-2.10
Li (0.8349, 0.6103, 0.4910)  4 O 2.00-2.10
P (0.1787, 0.6931, 0.1801)  4 O 1.55
P (0.3127, 0.2976, 0.9372)  4 O 1.53-1.58
P (0.6745, 0.7869, 0.9292)  4 O 1.54-1.57
P (0.8213, 0.6931, 0.6801)  4 O 1.55
P (0.1790, 0.1752, 0.6895)  4 O 1.53-1.58
P (0.8210, 0.1752, 0.1895)  4 O 1.53-1.58
P (0.3255, 0.7869, 0.4292)  4 O 1.54-1.57
P (0.6873, 0.2976, 0.4372)  4 O 1.53-1.58

* polymorph energy (0 for the lowest one): 1.233 kcal/mol of atoms
* calculated formation energy: -2484.8 meV/atom
* V: 14.54 Å³/atom
* magnetic moment: 9.00 μB/f.u.

=====

3.
=====
Solution:
Mn (0.8039, 0.4665, 0.8612)  4 O 1.90-1.98
Mn (0.6831, 0.8812, 0.1150)  4 O 1.90-2.05
Mn (0.1677, 0.9761, 0.8743)  4 O 2.02-2.11
O (0.3922, 0.2965, 0.4149)  1 P 1.58
O (0.6078, 0.2965, 0.9149)  1 P 1.58
O (0.3797, 0.7735, 0.9197)  1 P 1.55
O (0.7673, 0.0949, 0.1143)  1 P 1.58
O (0.3008, 0.0659, 0.7613)  1 P 1.55
O (0.6913, 0.3361, 0.1717)  1 P 1.53
O (0.2280, 0.6137, 0.1067)  1 P 1.55
O (0.1071, 0.7385, 0.6894)  1 P 1.55
O (0.6573, 0.8442, 0.6756)  1 P 1.55
O (0.8055, 0.6226, 0.9342)  1 P 1.57
O (0.1945, 0.6226, 0.4342)  1 P 1.57
O (0.2295, 0.1255, 0.9516)  1 P 1.53
O (0.8929, 0.7385, 0.1894)  1 P 1.55
O (0.2488, 0.8400, 0.5079)  1 P 1.54
O (0.2100, 0.9034, 0.3587)  1 P 1.56
O (0.7720, 0.6137, 0.6067)  1 P 1.55
O (0.7494, 0.5700, 0.7539)  1 P 1.55
O (0.2733, 0.3789, 0.0102)  1 P 1.54
O (0.7267, 0.3789, 0.5102)  1 P 1.54
O (0.7900, 0.9034, 0.8587)  1 P 1.56
O (0.3087, 0.3361, 0.6717)  1 P 1.53
O (0.1151, 0.1917, 0.2018)  1 P 1.55
O (0.6203, 0.7735, 0.4197)  1 P 1.55
O (0.8849, 0.1917, 0.7018)  1 P 1.55
O (0.7705, 0.1255, 0.4516)  1 P 1.53
O (0.3427, 0.8442, 0.1756)  1 P 1.55
O (0.7512, 0.8400, 0.0079)  1 P 1.54
O (0.6992, 0.0659, 0.2613)  1 P 1.55
O (0.2327, 0.0949, 0.6143)  1 P 1.58
O (0.8334, 0.3935, 0.3655)  1 P 1.56
O (0.2506, 0.5700, 0.2539)  1 P 1.55
O (0.1666, 0.3935, 0.8655)  1 P 1.56
Li (0.6733, 0.0019, 0.7513)  4 O 1.98-2.04
Li (0.3267, 0.0019, 0.2513)  4 O 1.98-2.04
Li (0.1651, 0.6103, 0.9910)  4 O 2.00-2.10
Li (0.8349, 0.6103, 0.4910)  4 O 2.00-2.10
P (0.1787, 0.6931, 0.1801)  4 O 1.55
P (0.3127, 0.2976, 0.9372)  4 O 1.53-1.58
P (0.6745, 0.7869, 0.9292)  4 O 1.54-1.57
P (0.8213, 0.6931, 0.6801)  4 O 1.55
P (0.1790, 0.1752, 0.6895)  4 O 1.53-1.58
P (0.8210, 0.1752, 0.1895)  4 O 1.53-1.58
P (0.3255, 0.7869, 0.4292)  4 O 1.54-1.57
P (0.6873, 0.2976, 0.4372)  4 O 1.53-1.58

* polymorph energy (0 for the lowest one): 1.233 kcal/mol of atoms
* calculated formation energy: -2484.8 meV/atom
* V: 14.54 Å³/atom
* magnetic moment: 9.00 μB/f.u.

=====

3.